# Given
# GGA-PBE Dy2Cd8Ag, relaxed
data_Dy2Cd8Ag
_chemical_formula_sum 'Dy2 Cd8 Ag1'
_symmetry_space_group_name_H-M 'P 1'
_symmetry_Int_Tables_number 1
_symmetry_space_group_name_Hall 'P 1'
_cell_length_a 8.977
_cell_length_b 8.977
_cell_length_c 6.514
_cell_angle_alpha 102.90
_cell_angle_beta 102.90
_cell_angle_gamma 30.24
loop_
_atom_site_label
_atom_site_fract_x
_atom_site_fract_y
_atom_site_fract_z
Dy1 0.219 0.219 0.181
Dy2 0.781 0.781 0.819
Cd1 0.026 0.026 0.232
Cd2 0.151 0.151 0.670
Cd3 0.354 0.354 0.617
Cd4 0.400 0.400 0.080
Cd5 0.600 0.600 0.920
Cd6 0.646 0.646 0.383
Cd7 0.849 0.849 0.330
Cd8 0.974 0.974 0.768
Ag1 0.500 0.500 0.500
# Crystal system = monoclinic



# GGA-PBE Dy3Cd2Ag2, relaxed
data_Dy3Cd2Ag2
_chemical_formula_sum 'Dy3 Cd2 Ag2'
_symmetry_space_group_name_H-M 'P 1'
_symmetry_Int_Tables_number 1
_symmetry_space_group_name_Hall 'P 1'
_cell_length_a 11.142
_cell_length_b 11.142
_cell_length_c 3.449
_cell_angle_alpha 90.00
_cell_angle_beta 90.00
_cell_angle_gamma 156.51
loop_
_atom_site_label
_atom_site_fract_x
_atom_site_fract_y
_atom_site_fract_z
Dy1 0.000 0.000 0.000
Dy2 0.161 0.839 0.000
Dy3 0.839 0.161 0.000
Cd1 0.423 0.577 0.500
Cd2 0.577 0.423 0.500
Ag1 0.287 0.713 0.500
Ag2 0.713 0.287 0.500
# Crystal system = orthorhombic



# GGA-PBE DyCd2Ag3, relaxed
data_DyCd2Ag3
_chemical_formula_sum 'Dy2 Cd4 Ag6'
_symmetry_space_group_name_H-M 'P 1'
_symmetry_Int_Tables_number 1
_symmetry_space_group_name_Hall 'P 1'
_cell_length_a 4.818
_cell_length_b 4.818
_cell_length_c 12.692
_cell_angle_alpha 90.00
_cell_angle_beta 90.00
_cell_angle_gamma 120.00
loop_
_atom_site_label
_atom_site_fract_x
_atom_site_fract_y
_atom_site_fract_z
Dy1 0.000 0.000 0.250
Dy2 0.000 0.000 0.750
Cd1 0.333 0.667 0.095
Cd2 0.333 0.667 0.405
Cd3 0.667 0.333 0.595
Cd4 0.667 0.333 0.905
Ag1 0.000 0.000 0.000
Ag2 0.000 0.000 0.500
Ag3 0.333 0.667 0.636
Ag4 0.333 0.667 0.864
Ag5 0.667 0.333 0.136
Ag6 0.667 0.333 0.364
# Crystal system = hexagonal



M_tot (computed, μB/f.u.): 0.0; 0.0; 0.0
ΔE_f (computed, eV per atom): -0.16; -0.28; -0.19

----------

Record 1
Tb6Si2Se3Br: relaxed, PBE.

The structure in POSCAR format:
```
Tb6Si2Se3Br
1.0
9.004 -2.056 0.000
9.004 2.056 0.000
-1.803 0.000 8.147
Tb Si Se Br
6 2 3 1
Cartesian
-0.320 0.000 2.253
4.223 0.000 7.270
5.182 0.000 3.448
11.024 0.000 4.699
11.983 0.000 0.877
16.526 0.000 5.894
2.414 0.000 2.723
13.792 0.000 5.424
1.359 0.000 6.830
8.103 0.000 4.073
14.847 0.000 1.317
9.004 0.000 0.000
```

Computed properties:
* uncorrected formation energy: -1391 meV/atom
* calculated total energy: -5.621 eV/atom

=====

Record 2
ThGaAuN: relaxed, PBE.

The structure in POSCAR format:
```
ThGaAuN
1.0
4.305 0.000 0.000
0.000 4.305 0.000
0.000 0.000 8.403
Th Ga Au N
2 2 2 2
Cartesian
1.076 1.076 1.052
3.229 3.229 7.351
1.076 3.229 4.201
3.229 1.076 4.201
1.076 1.076 5.643
3.229 3.229 2.760
1.076 3.229 0.000
3.229 1.076 0.000
```

Computed properties:
* uncorrected formation energy: -1000 meV/atom
* calculated total energy: -6.512 eV/atom

=====

Q: What is the formula in the second record?
A: ThGaAuN

=====

Q: Which value of uncorrected formation energy does entry 1 give?
A: -1391 meV/atom

=====

Q: Look up the uncorrected formation energy of the first one.
A: -1391 meV/atom

=====

Q: The highest calculated total energy belongs to which entry?
A: Tb6Si2Se3Br

# Assignment
What is needed: duplicate everything further up character by character.

# Outcome
# GGA-PBE Dy2Cd8Ag, relaxed
data_Dy2Cd8Ag
_chemical_formula_sum 'Dy2 Cd8 Ag1'
_symmetry_space_group_name_H-M 'P 1'
_symmetry_Int_Tables_number 1
_symmetry_space_group_name_Hall 'P 1'
_cell_length_a 8.977
_cell_length_b 8.977
_cell_length_c 6.514
_cell_angle_alpha 102.90
_cell_angle_beta 102.90
_cell_angle_gamma 30.24
loop_
_atom_site_label
_atom_site_fract_x
_atom_site_fract_y
_atom_site_fract_z
Dy1 0.219 0.219 0.181
Dy2 0.781 0.781 0.819
Cd1 0.026 0.026 0.232
Cd2 0.151 0.151 0.670
Cd3 0.354 0.354 0.617
Cd4 0.400 0.400 0.080
Cd5 0.600 0.600 0.920
Cd6 0.646 0.646 0.383
Cd7 0.849 0.849 0.330
Cd8 0.974 0.974 0.768
Ag1 0.500 0.500 0.500
# Crystal system = monoclinic



# GGA-PBE Dy3Cd2Ag2, relaxed
data_Dy3Cd2Ag2
_chemical_formula_sum 'Dy3 Cd2 Ag2'
_symmetry_space_group_name_H-M 'P 1'
_symmetry_Int_Tables_number 1
_symmetry_space_group_name_Hall 'P 1'
_cell_length_a 11.142
_cell_length_b 11.142
_cell_length_c 3.449
_cell_angle_alpha 90.00
_cell_angle_beta 90.00
_cell_angle_gamma 156.51
loop_
_atom_site_label
_atom_site_fract_x
_atom_site_fract_y
_atom_site_fract_z
Dy1 0.000 0.000 0.000
Dy2 0.161 0.839 0.000
Dy3 0.839 0.161 0.000
Cd1 0.423 0.577 0.500
Cd2 0.577 0.423 0.500
Ag1 0.287 0.713 0.500
Ag2 0.713 0.287 0.500
# Crystal system = orthorhombic



# GGA-PBE DyCd2Ag3, relaxed
data_DyCd2Ag3
_chemical_formula_sum 'Dy2 Cd4 Ag6'
_symmetry_space_group_name_H-M 'P 1'
_symmetry_Int_Tables_number 1
_symmetry_space_group_name_Hall 'P 1'
_cell_length_a 4.818
_cell_length_b 4.818
_cell_length_c 12.692
_cell_angle_alpha 90.00
_cell_angle_beta 90.00
_cell_angle_gamma 120.00
loop_
_atom_site_label
_atom_site_fract_x
_atom_site_fract_y
_atom_site_fract_z
Dy1 0.000 0.000 0.250
Dy2 0.000 0.000 0.750
Cd1 0.333 0.667 0.095
Cd2 0.333 0.667 0.405
Cd3 0.667 0.333 0.595
Cd4 0.667 0.333 0.905
Ag1 0.000 0.000 0.000
Ag2 0.000 0.000 0.500
Ag3 0.333 0.667 0.636
Ag4 0.333 0.667 0.864
Ag5 0.667 0.333 0.136
Ag6 0.667 0.333 0.364
# Crystal system = hexagonal



M_tot (computed, μB/f.u.): 0.0; 0.0; 0.0
ΔE_f (computed, eV per atom): -0.16; -0.28; -0.19

----------

Record 1
Tb6Si2Se3Br: relaxed, PBE.

The structure in POSCAR format:
```
Tb6Si2Se3Br
1.0
9.004 -2.056 0.000
9.004 2.056 0.000
-1.803 0.000 8.147
Tb Si Se Br
6 2 3 1
Cartesian
-0.320 0.000 2.253
4.223 0.000 7.270
5.182 0.000 3.448
11.024 0.000 4.699
11.983 0.000 0.877
16.526 0.000 5.894
2.414 0.000 2.723
13.792 0.000 5.424
1.359 0.000 6.830
8.103 0.000 4.073
14.847 0.000 1.317
9.004 0.000 0.000
```

Computed properties:
* uncorrected formation energy: -1391 meV/atom
* calculated total energy: -5.621 eV/atom

=====

Record 2
ThGaAuN: relaxed, PBE.

The structure in POSCAR format:
```
ThGaAuN
1.0
4.305 0.000 0.000
0.000 4.305 0.000
0.000 0.000 8.403
Th Ga Au N
2 2 2 2
Cartesian
1.076 1.076 1.052
3.229 3.229 7.351
1.076 3.229 4.201
3.229 1.076 4.201
1.076 1.076 5.643
3.229 3.229 2.760
1.076 3.229 0.000
3.229 1.076 0.000
```

Computed properties:
* uncorrected formation energy: -1000 meV/atom
* calculated total energy: -6.512 eV/atom

=====

Q: What is the formula in the second record?
A: ThGaAuN

=====

Q: Which value of uncorrected formation energy does entry 1 give?
A: -1391 meV/atom

=====

Q: Look up the uncorrected formation energy of the first one.
A: -1391 meV/atom

=====

Q: The highest calculated total energy belongs to which entry?
A: Tb6Si2Se3Br